I had resigned myself to not write about this issue, but something came to me while I was looking at potential future-homes online. Baseball was in an artificially inflated bubble, just like the housing market. Now, that bubble has burst and it begs the question, what will be the long-term implications?
┌──
# TmNiGe (PBE, optimized geometry)
# * VASP energy: -5.690 eV/atom
# * spin magnetization: 0.0 μB per formula unit
# * energy relative to the elements: -0.7302 eV per atom
data_TmNiGe
_symmetry_space_group_name_H-M 'P 1'
_symmetry_Int_Tables_number 1
_symmetry_space_group_name_Hall 'P 1'
_cell_length_a 5.467
_cell_length_b 5.467
_cell_length_c 6.774
_cell_angle_alpha 51.91
_cell_angle_beta 51.91
_cell_angle_gamma 44.20
loop_
_atom_site_label
_atom_site_type_symbol
_atom_site_fract_x
_atom_site_fract_y
_atom_site_fract_z
Tm1 Tm 0.550 0.550 0.690
Tm2 Tm 0.450 0.450 0.310
└──
First, some visual aids:

I chose a picture of Home Runs because it is what most people think of when they think of steroid use. It also happens to be the most visually indicative. However, a quick trip over to baseballgraphs.com shows that Runs, Slugging Percentage and OPS all saw significant spikes in the late 90s and have stayed at a high level since. Those graphs are just more noisy in the earlier years. Now, I am well aware that there is a substantial ballpark effect (the construction of hitter-friendly ballparks, starting with Camden Yards in the early 90s and just now trailing off) that could account for this difference. I don’t have the time or expertise to start making those calculations. Instead, I’ll make the assumption that everyone around baseball has made: steroids were used and offensive production increased. This is substantiated by an interesting paper by Grossman, Kimsey, Moreen and Owings, which examines the effect of steroid use and the game theory behind testing for it. Fascinating stuff people. I’m serious.
____________
This record from the Materials Project describes crystalline BaH2O2 at its relaxed geometry. The functional is PBE.

Unit cell a=8.2626 b=7.0447 c=10.7627 alpha=57.29 beta=90.00 gamma=90.00
Last column: nearest neighbours and their distance in Å.
Positions (direct):
Ba 0.8662 0.3320 0.9044  4 H 2.71-2.84, 7 O 2.75-3.03
Ba 0.6338 0.3320 0.4044  4 H 2.71-2.84, 7 O 2.75-3.03
Ba 0.1338 0.6680 0.0956  4 H 2.71-2.84, 7 O 2.75-3.03
Ba 0.3662 0.6680 0.5956  4 H 2.71-2.84, 7 O 2.75-3.03
Ba 0.9603 0.9658 0.3288  3 H 2.61-2.83, 5 O 2.65-2.78
Ba 0.5397 0.9658 0.8288  3 H 2.61-2.83, 5 O 2.65-2.78
Ba 0.0397 0.0342 0.6712  3 H 2.61-2.83, 5 O 2.65-2.78
Ba 0.4603 0.0342 0.1712  3 H 2.61-2.83, 5 O 2.65-2.78
H 0.9835 0.5728 0.6166  1 O 0.98
H 0.5165 0.5728 0.1166  1 O 0.98
H 0.0165 0.4272 0.3834  1 O 0.98
H 0.4835 0.4272 0.8834  1 O 0.98
H 0.1992 0.2392 0.1761  1 O 0.99
H 0.3008 0.2392 0.6761  1 O 0.99
H 0.8008 0.7608 0.8239  1 O 0.99
H 0.6992 0.7608 0.3239  1 O 0.99
H 0.1861 0.1805 0.9248  1 O 0.98
H 0.3139 0.1805 0.4248  1 O 0.98
H 0.8139 0.8195 0.0752  1 O 0.98
H 0.6861 0.8195 0.5752  1 O 0.98
H 0.2480 0.5500 0.3980  1 O 0.98
H 0.2520 0.5500 0.8980  1 O 0.98
H 0.7520 0.4500 0.6020  1 O 0.98
H 0.7480 0.4500 0.1020  1 O 0.98
O 0.0314 0.6943 0.6231  1 H 0.98
O 0.4686 0.6943 0.1231  1 H 0.98
O 0.9686 0.3057 0.3769  1 H 0.98
O 0.5314 0.3057 0.8769  1 H 0.98
O 0.1442 0.2720 0.0850  1 H 0.99
O 0.3558 0.2720 0.5850  1 H 0.99
O 0.8558 0.7280 0.9150  1 H 0.99
O 0.6442 0.7280 0.4150  1 H 0.99
O 0.1580 0.1187 0.8653  1 H 0.98
O 0.3420 0.1187 0.3653  1 H 0.98
O 0.8420 0.8813 0.1347  1 H 0.98
O 0.6580 0.8813 0.6347  1 H 0.98
O 0.1972 0.6984 0.3347  1 H 0.98
O 0.3028 0.6984 0.8347  1 H 0.98
O 0.8028 0.3016 0.6653  1 H 0.98
O 0.6972 0.3016 0.1653  1 H 0.98

This record from the Materials Project describes crystalline CeCuS2 at its relaxed geometry. The functional is PBE.

Unit cell a=7.1988 b=6.4576 c=6.8991 alpha=82.20 beta=90.00 gamma=90.00
Last column: nearest neighbours and their distance in Å.
Positions (direct):
Ce 0.5519 0.6890 0.1995  7 S 2.84-3.06
Ce 0.0519 0.3110 0.3005  7 S 2.84-3.06
Ce 0.4481 0.3110 0.8005  7 S 2.84-3.06
Ce 0.9481 0.6890 0.6995  7 S 2.84-3.06
Cu 0.8337 0.0692 0.9611  3 S 2.31-2.35
Cu 0.1663 0.9308 0.0389  3 S 2.31-2.35
Cu 0.3337 0.9308 0.5389  3 S 2.31-2.35
Cu 0.6663 0.0692 0.4611  3 S 2.31-2.35
S 0.8836 0.9095 0.2832  2 Cu 2.32-2.35
S 0.3836 0.0905 0.2168  2 Cu 2.32-2.35
S 0.1164 0.0905 0.7168  2 Cu 2.32-2.35
S 0.6164 0.9095 0.7832  2 Cu 2.32-2.35
S 0.7266 0.4122 0.5000  1 Cu 2.31
S 0.7734 0.4122 0.0000  1 Cu 2.31
S 0.2734 0.5878 0.5000  1 Cu 2.31
S 0.2266 0.5878 0.0000  1 Cu 2.31

This record from the Materials Project describes crystalline Cs2SnAs2Se9 at its relaxed geometry. The functional is PBE.

Unit cell a=18.1971 b=7.4291 c=7.9995 alpha=64.79 beta=90.00 gamma=90.00
Last column: nearest neighbours and their distance in Å.
Positions (direct):
Cs 0.0635 0.6923 0.2422  9 Se 3.71-4.11, 1 As 4.02
Cs 0.7917 0.0851 0.4832  11 Se 3.79-4.24
____________
[Here the page continues]
What I’m interested in are the parallels. Around the same time period, offensive output in baseball and housing prices were inflated to artificially high, and historically unsustainable levels. Both “markets” (to use the term loosely) experienced a bubble and that bubble has burst, resulting in steep declines for both. Before you jump down my throat: No, I am not implying that the two are related. Instead, I feel like there are a few interesting questions that we can ask ourselves. What will the implications of this Steroid Bubble be? In the housing market, the bubble bursting led to price depreciation, mortgage defaults, bank closures, the credit crisis and a depressed national economy. I argue that this is the result of a problem spiraling out of control without any viable solutions put in place to head it off. Interestingly, I don’t think that the baseball market can learn lessons or prepare for a fall based on how the housing market collapsed. Rather, I think that things could have worked the other way around.
The Steroid Bubble “burst” about two years before the current economic situation. Recall the commotion that surrounded the 2005 Congressional Hearings and BALCO case, the 2006-2007 investigation that culminated in the Mitchell Report and the Roger Clemens scandal last year. By my count, the steroid bubble “burst” in 2005—that is when drug testing was implemented—and has been experiencing the fallout for four years. During that time we have seen the following: The villainization and fall of some of the greatest players in Major League History, the guilt by association of all players who played in the “steroid era”, including some that predated the era (ahem, Fielder’s Choice. Cal Ripken? Really??) and the removal of baseball from Olympic Competition (perhaps entirely unrelated, perhaps a piece of the puzzle).
With the Arod situation, I think that we have finally reached the bottom. The game’s best active player has been busted, but his career will not end. Apart from the initial shock of the report, the general fan reaction has been “meh.” There is nothing more that could possibly come out that could have a bigger impact than an Arod admission. This is the bottom. This also happens to be a time when a number of veteran free agents may be forced to end their careers, despite having the ability to make a positive impact. Some cite the economy, but I say that, in part, this is baseball’s way of finally clearing out the rest of the steroid era. There has been a cleanse and purge across baseball, with only a few players hanging on, or signing for below-market wages. And while I feel bad for some players, especially those like Ken Griffey Jr., who is loved by all and emerged from this entire controversy unscathed, the market did what it needed to do to move on. We’ve had an infusion of new blood and high-profile young players that will be able to carry the next “era” of baseball on their shoulders.
On the other side here we are, in the first year of the collapse in the housing market. At some point it will reach a bottom, and at some point things will get back to normal. It is already starting to some degree. Prices and interest rates have fallen to the point where I, as a first-time homebuyer, can actually conceive of buying a house. Unfortunately, we are probably a few years from the “bottom”—the point where we can have one last potentially devastating shock to the system that just gets shrugged off by the rest of the nation that has already started moving on.
As soon as the bubble burst on baseball there was congressional and internal investigation, criminal investigation, new rules and stringent oversight put in place. There was pain, for both fans and players. Notably absent was any effort to prop the market back up, i.e. continuing the artificially high offensive output—something that runs contrary to the government intervention we are seeing to artificially prop the housing market back up. The baseball market has corrected, and it is been painful, but it was necessary.
_Data records, kept here for reference_
=====
1.
The following is a GGA+U calculation of an optimized crystal structure of Mo8P6O49, from the Materials Project.

The structure in POSCAR format:
```
Mo8P6O49
1.0
8.390 0.000 0.000
3.918 9.926 0.000
1.535 -0.361 13.005
Mo P O
8 6 49
direct
0.109 0.130 0.261
0.196 0.814 0.486
0.209 0.405 0.826
0.345 0.626 0.041
0.655 0.374 0.959
0.791 0.595 0.174
0.804 0.186 0.514
0.891 0.870 0.739
0.044 0.297 0.043
0.297 0.655 0.697
0.380 0.791 0.250
0.620 0.209 0.750
0.703 0.345 0.303
0.956 0.703 0.957
0.006 0.104 0.381
0.028 0.841 0.414
0.029 0.571 0.889
0.083 0.359 0.756
0.086 0.044 0.810
0.106 0.721 0.005
0.132 0.755 0.764
0.139 0.173 0.104
0.176 0.316 0.956
0.203 0.235 0.297
0.239 0.956 0.505
0.241 0.011 0.781
0.254 0.663 0.581
0.256 0.404 0.470
0.278 0.517 0.145
0.284 0.512 0.729
0.290 0.721 0.190
0.295 0.947 0.240
0.329 0.287 0.494
0.378 0.749 0.364
0.396 0.492 0.936
0.415 0.755 0.004
0.425 0.252 0.792
0.462 0.666 0.711
0.500 0.000 0.000
0.538 0.334 0.289
0.575 0.748 0.208
0.585 0.245 0.996
0.604 0.508 0.064
0.622 0.251 0.636
0.671 0.713 0.506
0.705 0.053 0.760
0.710 0.279 0.810
0.716 0.488 0.271
0.722 0.483 0.855
0.744 0.596 0.530
0.746 0.337 0.419
0.759 0.989 0.219
0.761 0.044 0.495
0.797 0.765 0.703
0.824 0.684 0.044
0.861 0.827 0.896
0.868 0.245 0.236
0.894 0.279 0.995
0.914 0.956 0.190
0.917 0.641 0.244
0.971 0.429 0.111
0.972 0.159 0.586
0.994 0.896 0.619
```

Calculated values
theoretical density: 2.664 g/cm3
relative energy among the computed polymorphs: 0.005 eV/atom
symmetry: P-1, No. 2
spin magnetization: 0.190 μB per atom
energy relative to the elements: -1.378 eV per atom



2.
The following is a GGA+U calculation of an optimized crystal structure of Mo2P3O13, from the Materials Project.

The structure in POSCAR format:
```
Mo2P3O13
1.0
5.414 -7.400 0.000
5.414 7.400 0.000
-5.302 0.000 7.317
Mo P O
4 6 26
direct
0.090 0.910 0.500
0.420 0.602 0.163
0.602 0.420 0.663
0.910 0.090 0.000
0.095 0.517 0.267
0.413 0.991 0.398
0.517 0.095 0.767
0.744 0.764 0.083
0.764 0.744 0.583
0.991 0.413 0.898
0.002 0.328 0.230
0.083 0.103 0.565
0.099 0.655 0.420
0.103 0.083 0.065
0.189 0.515 0.950
0.226 0.947 0.364
0.283 0.563 0.288
0.328 0.002 0.730
0.406 0.423 0.598
0.423 0.406 0.098
0.425 0.865 0.250
0.515 0.189 0.450
0.518 0.989 0.582
0.554 0.694 0.060
0.563 0.283 0.788
0.632 0.729 0.406
0.655 0.099 0.920
0.694 0.554 0.560
0.729 0.632 0.906
0.760 0.863 0.747
0.806 0.948 0.105
0.863 0.760 0.247
0.865 0.425 0.750
0.947 0.226 0.864
0.948 0.806 0.605
0.989 0.518 0.082
```

Calculated values
theoretical density: 2.792 g/cm3
relative energy among the computed polymorphs: 0.009 eV/atom
symmetry: Cc, No. 9
spin magnetization: 0.056 μB per atom
energy relative to the elements: -2.362 eV per atom



3.
The following is a GGA+U calculation of an optimized crystal structure of MoP2O7, from the Materials Project.

The structure in POSCAR format:
```
MoP2O7
1.0
7.035 0.000 0.000
0.000 8.937 0.000
-3.185 0.000 9.185
Mo P O
4 8 28
direct
0.201 0.077 0.303
0.201 0.423 0.803
=====
Just imagine, if there had been as much swift action, investigation and oversight in the current economic crisis as there was when the baseball steroid scandal first broke, could we have stemmed off a lot of trouble at the pass and started the market on a path to correction that much earlier?